# Input
********
Entry 1:
Here is C25H30BBaN10O as an isolated structure at a distorted geometry from the Open Molecules 2025 dataset. Energies are from the ωB97M-V functional and the def2-TZVPD basis.

## Properties
HOMO level (spin up / spin down) ... -5.093 / -7.377 eV
Expectation value of S² ... 0.7571
Orbital gap (spin up / spin down) ... 4.78 / 7.04 eV
LUMO energy (spin up / spin down) ... -0.0117 / -0.0123 Eh
Multiplicity ... 2

XYZ file:
```
68
Properties=species:S:1:pos:R:3:forces:R:3
Ba -1.868 -0.740 0.002 -0.1216 0.7401 1.0867
C 0.780 -3.301 2.457 -0.0005 0.0196 -0.0022
C 1.453 -2.297 1.579 -0.0334 -0.0710 0.0689
C 2.731 -1.729 1.715 -0.0398 0.0026 0.0675
C 2.867 -0.905 0.624 -0.0765 0.0361 -0.0187
N 1.738 -0.984 -0.109 0.0967 -0.3387 -0.0575
N 0.857 -1.851 0.484 -0.1542 0.4559 -0.1589
B 1.333 -0.387 -1.469 0.0867 -0.0505 0.0239
N 0.547 0.945 -1.200 -0.1972 -0.3293 -0.0045
C 1.123 1.988 -0.561 -0.0668 -0.0144 0.0010
C 0.367 3.107 -0.800 -0.0637 0.0499 0.0006
C -0.686 2.658 -1.621 -0.0064 0.0172 0.0156
C -1.774 3.466 -2.256 0.0425 0.0187 0.0370
N -0.577 1.356 -1.857 -0.0006 -0.1510 0.0387
N 0.503 -1.465 -2.230 0.0506 0.1697 -0.1352
C 1.094 -2.493 -2.862 -0.0464 -0.0051 -0.0274
C 0.112 -3.347 -3.314 -0.0070 -0.0212 0.0029
C -1.087 -2.754 -2.901 0.0522 -0.0402 -0.0243
C -2.488 -3.222 -3.142 0.0088 0.0218 0.0121
N -0.842 -1.624 -2.241 0.2825 -0.2267 -0.3460
N 2.533 -0.060 -2.371 -0.0441 0.0135 0.1337
C 2.402 0.470 -3.607 0.0453 0.0694 0.0058
C 3.659 0.586 -4.148 -0.0026 0.0003 -0.0022
C 4.521 0.090 -3.149 0.0778 0.0018 0.0088
C 6.013 -0.019 -3.180 -0.0344 -0.0041 -0.0042
N 3.836 -0.299 -2.084 -0.1197 -0.0051 -0.0617
H 1.024 -3.128 3.505 -0.0065 0.0007 -0.0010
H 1.099 -4.313 2.203 0.0048 0.0059 0.0023
H -0.304 -3.246 2.343 -0.0024 0.0295 0.0332
H 3.448 -1.899 2.501 -0.0110 -0.0074 -0.0187
H 3.691 -0.293 0.302 0.0010 -0.0351 -0.0427
H 2.038 1.860 -0.004 -0.0134 -0.0039 -0.0030
H 0.540 4.107 -0.437 0.0009 -0.0146 -0.0125
H -1.854 4.444 -1.782 -0.0236 -0.0172 0.0122
H -2.740 2.967 -2.192 0.0102 -0.0226 -0.0379
H -1.563 3.623 -3.315 0.0232 0.0106 0.0068
H 2.169 -2.548 -2.938 -0.0171 0.0266 -0.0265
H 0.240 -4.264 -3.864 -0.0008 0.0266 -0.0123
H -2.482 -4.174 -3.670 -0.0119 -0.0058 0.0061
H -3.044 -2.505 -3.748 0.0097 0.0016 -0.0068
H -3.042 -3.373 -2.211 0.0153 -0.0056 0.0084
H 1.430 0.721 -4.002 0.0099 -0.0092 0.0098
H 3.923 0.971 -5.119 0.0030 -0.0058 0.0172
H 6.404 0.338 -4.132 -0.0046 -0.0029 0.0021
H 6.333 -1.053 -3.046 -0.0057 -0.0027 -0.0034
H 6.466 0.572 -2.384 -0.0066 0.0075 -0.0017
C -1.774 -1.703 4.811 -0.1010 0.0813 0.0939
O -2.266 -1.316 3.539 0.2535 0.3833 -0.5217
C -1.606 -0.297 2.780 0.3904 -0.7728 0.0374
C -0.366 0.241 3.454 -0.2138 0.1919 0.0881
H -0.702 -1.904 4.789 0.0022 -0.0341 0.0139
H -2.300 -2.617 5.086 -0.0020 0.0151 0.0082
H -1.974 -0.940 5.569 0.0146 -0.0019 -0.0084
H -0.514 0.585 4.488 -0.0271 0.0273 -0.0353
H -0.004 1.098 2.879 0.0153 -0.0170 -0.0088
H 0.462 -0.484 3.486 -0.0332 -0.0091 -0.0529
N -3.128 2.219 5.916 0.0129 -0.0354 0.0332
C -3.267 2.306 4.779 -0.0782 0.0640 -0.2772
C -3.433 2.418 3.352 -0.0128 0.1727 0.3481
C -3.331 3.644 2.713 0.0029 0.0192 0.0648
C -3.464 3.694 1.335 0.0528 0.0317 -0.0623
C -3.683 2.501 0.659 0.0212 0.0459 0.2050
N -3.790 1.320 1.259 -0.0954 -0.1980 -0.4547
C -3.653 1.262 2.595 0.3654 -0.3346 -0.0946
H -3.155 4.540 3.293 0.0149 -0.0032 -0.0058
H -3.400 4.629 0.795 0.0131 -0.0121 0.0036
H -3.769 2.501 -0.421 -0.0831 -0.0050 0.0170
H -3.804 0.310 3.076 -0.2153 0.0554 0.0165
```
Forces are in eV/Å.

---

Entry 2:
Here is C25H30BrI2N6O7SeTi as an isolated structure from the Open Molecules 2025 dataset. Energies are from the ωB97M-V functional and the def2-TZVPD basis.

## Properties
HOMO level (spin up / spin down) ... -7.996 / -8.214 eV
Expectation value of S² ... 0.7522
Orbital gap (spin up / spin down) ... 7.81 / 8.03 eV
LUMO energy (spin up / spin down) ... -0.0067 / -0.0067 Eh
Multiplicity ... 2

XYZ file:
```
73
Properties=species:S:1:pos:R:3:forces:R:3
********
# Activity
Could you copy the lines earlier on from the line with "-0.004 -0.0134" to the end unchanged?
# Reply
H 2.038 1.860 -0.004 -0.0134 -0.0039 -0.0030
H 0.540 4.107 -0.437 0.0009 -0.0146 -0.0125
H -1.854 4.444 -1.782 -0.0236 -0.0172 0.0122
H -2.740 2.967 -2.192 0.0102 -0.0226 -0.0379
H -1.563 3.623 -3.315 0.0232 0.0106 0.0068
H 2.169 -2.548 -2.938 -0.0171 0.0266 -0.0265
H 0.240 -4.264 -3.864 -0.0008 0.0266 -0.0123
H -2.482 -4.174 -3.670 -0.0119 -0.0058 0.0061
H -3.044 -2.505 -3.748 0.0097 0.0016 -0.0068
H -3.042 -3.373 -2.211 0.0153 -0.0056 0.0084
H 1.430 0.721 -4.002 0.0099 -0.0092 0.0098
H 3.923 0.971 -5.119 0.0030 -0.0058 0.0172
H 6.404 0.338 -4.132 -0.0046 -0.0029 0.0021
H 6.333 -1.053 -3.046 -0.0057 -0.0027 -0.0034
H 6.466 0.572 -2.384 -0.0066 0.0075 -0.0017
C -1.774 -1.703 4.811 -0.1010 0.0813 0.0939
O -2.266 -1.316 3.539 0.2535 0.3833 -0.5217
C -1.606 -0.297 2.780 0.3904 -0.7728 0.0374
C -0.366 0.241 3.454 -0.2138 0.1919 0.0881
H -0.702 -1.904 4.789 0.0022 -0.0341 0.0139
H -2.300 -2.617 5.086 -0.0020 0.0151 0.0082
H -1.974 -0.940 5.569 0.0146 -0.0019 -0.0084
H -0.514 0.585 4.488 -0.0271 0.0273 -0.0353
H -0.004 1.098 2.879 0.0153 -0.0170 -0.0088
H 0.462 -0.484 3.486 -0.0332 -0.0091 -0.0529
N -3.128 2.219 5.916 0.0129 -0.0354 0.0332
C -3.267 2.306 4.779 -0.0782 0.0640 -0.2772
C -3.433 2.418 3.352 -0.0128 0.1727 0.3481
C -3.331 3.644 2.713 0.0029 0.0192 0.0648
C -3.464 3.694 1.335 0.0528 0.0317 -0.0623
C -3.683 2.501 0.659 0.0212 0.0459 0.2050
N -3.790 1.320 1.259 -0.0954 -0.1980 -0.4547
C -3.653 1.262 2.595 0.3654 -0.3346 -0.0946
H -3.155 4.540 3.293 0.0149 -0.0032 -0.0058
H -3.400 4.629 0.795 0.0131 -0.0121 0.0036
H -3.769 2.501 -0.421 -0.0831 -0.0050 0.0170
H -3.804 0.310 3.076 -0.2153 0.0554 0.0165
```
Forces are in eV/Å.

---

Entry 2:
Here is C25H30BrI2N6O7SeTi as an isolated structure from the Open Molecules 2025 dataset. Energies are from the ωB97M-V functional and the def2-TZVPD basis.

## Properties
HOMO level (spin up / spin down) ... -7.996 / -8.214 eV
Expectation value of S² ... 0.7522
Orbital gap (spin up / spin down) ... 7.81 / 8.03 eV
LUMO energy (spin up / spin down) ... -0.0067 / -0.0067 Eh
Multiplicity ... 2

XYZ file:
```
73
Properties=species:S:1:pos:R:3:forces:R:3